Understanding Your Medicare Card – Parts A & B
If you are automatically enrolled in Medicare because you already collect Social Security, three months before you turn 65 years old you will receive your “red, white and blue” Medicare card in the mail. Your card has a Medicare Number that’s unique to you (it is not your Social Security Number). It includes the start date of your Medicare coverage and the parts you have been enrolled in (Part A and/or Part B). Store this card in a safe place. A typical card looks like this:

Depending on your selected Medicare coverage, you may also have additional cards to identify your plans. It is important to also show this card along with others when requested by your providers, insurers or others that you trust. Be aware that there are scammers out there that may request copies of this card. Be careful who you provide this information to. As stated on the official medicare.gov website, Medicare will never call you uninvited and ask you to give us personal or private information.
To replace a missing or stolen Medicare card, call 1-800-MEDICARE (1-800-633-4227)
In Addition to Your Medicare Card…
Depending on your additional coverage to basic Medicare, you may have other cards to show your provider. Here is a snapshot of what they are:
Medicare Supplement Cards
This card will look different because it is provided by your plan provider. On your Medicare Supplement card, you will see the word “supplement” and the effective date. Your provider will want to see both your Medicare AND Medicare Supplemental cards.

Rx (Prescription) Cards – Part D
If you have Medicare Part D (PDP), you most likely have a card that identifies the provider of the plan. The following is an example of the ID card to show your pharmacy employee (card format may change based on provider).

Medicare Advantage Plan Cards
If you are participating in a Medicare Advantage plan, you will have a card that details your plan benefits all in one place. Always bring your Medicare card with you, along with your Medicare Advantage Plan ID. Here is a generic sample of a Medicare Advantage card.

## These calculated crystals were left in the page by mistake
┌──
(1)
Computed, not measured: a geometry-optimized AcMg2CuSi2 structure at the GGA-PBE level of DFT.

- raw total energy (eV per atom) = -3.848
- crystal system = tetragonal

Cell lengths 8.146, 8.146, 8.146 Å; angles 148.68, 148.68, 44.88 degrees
Element x y z (fractional)
Ac (0.000, 0.000, 0.000)
Mg (0.250, 0.750, 0.500)
Mg (0.750, 0.250, 0.500)
Cu (0.500, 0.500, 0.000)
Si (0.354, 0.354, 0.000)
Si (0.646, 0.646, 0.000)



(2)
Computed, not measured: a geometry-optimized AcMgCuSi2 structure at the GGA-PBE level of DFT.

- raw total energy (eV per atom) = -4.549
- crystal system = tetragonal

Cell lengths 6.149, 6.149, 6.149 Å; angles 138.35, 138.35, 60.36 degrees
Element x y z (fractional)
Ac (0.000, 0.000, 0.000)
Mg (0.750, 0.250, 0.500)
Cu (0.250, 0.750, 0.500)
Si (0.385, 0.385, 0.000)
Si (0.615, 0.615, 0.000)



(3)
Computed, not measured: a geometry-optimized AcSmMgCu structure at the GGA-PBE level of DFT.

- calculated formation energy (eV/atom) = 0.00
- raw total energy (eV per atom) = -3.627
- crystal system = cubic

Cell lengths 5.433, 5.433, 5.433 Å; angles 60.00, 60.00, 60.00 degrees
Element x y z (fractional)
Ac (0.000, 0.000, 0.000)
Sm (0.500, 0.500, 0.500)
Mg (0.750, 0.750, 0.750)
Cu (0.250, 0.250, 0.250)



(4)
Computed, not measured: a geometry-optimized AcMgCuSn structure at the GGA-PBE level of DFT.

- calculated formation energy (eV/atom) = -0.24
- raw total energy (eV per atom) = -3.689
- crystal system = cubic

Cell lengths 5.292, 5.292, 5.292 Å; angles 60.00, 60.00, 60.00 degrees
Element x y z (fractional)
Ac (0.000, 0.000, 0.000)
Mg (0.500, 0.500, 0.500)
Cu (0.750, 0.750, 0.750)
Sn (0.250, 0.250, 0.250)



(5)
Computed, not measured: a geometry-optimized AcMgCuSn2 structure at the GGA-PBE level of DFT.

- calculated formation energy (eV/atom) = -0.40
- raw total energy (eV per atom) = -3.957
- crystal system = tetragonal

Cell lengths 6.831, 6.831, 6.831 Å; angles 140.45, 140.45, 57.18 degrees
Element x y z (fractional)
Ac (0.000, 0.000, 0.000)
Mg (0.250, 0.750, 0.500)
Cu (0.750, 0.250, 0.500)
Sn (0.379, 0.379, 0.000)
Sn (0.621, 0.621, 0.000)



(6)
Computed, not measured: a geometry-optimized SrAcMgCu structure at the GGA-PBE level of DFT.

- calculated formation energy (eV/atom) = 0.04
- raw total energy (eV per atom) = -2.832
- crystal system = cubic

Cell lengths 5.622, 5.622, 5.622 Å; angles 60.00, 60.00, 60.00 degrees
Element x y z (fractional)
Sr (0.000, 0.000, 0.000)
Ac (0.500, 0.500, 0.500)
Mg (0.750, 0.750, 0.750)
Cu (0.250, 0.250, 0.250)



(7)
Computed, not measured: a geometry-optimized AcMgTlCu structure at the GGA-PBE level of DFT.

- calculated formation energy (eV/atom) = -0.13
- raw total energy (eV per atom) = -3.167
- crystal system = cubic

Cell lengths 5.304, 5.304, 5.304 Å; angles 60.00, 60.00, 60.00 degrees
Element x y z (fractional)
Ac (0.000, 0.000, 0.000)
Mg (0.500, 0.500, 0.500)
Tl (0.750, 0.750, 0.750)
Cu (0.250, 0.250, 0.250)



(8)
└──
## So much for the calculated crystals

How to Protect Your Medicare Card(s)
While not illegal, the Social Security Administration advises that you do not laminate your Medicare card. Lamination may prevent detection of security features. You can however, slide your card into a plastic ID card holder for safe keeping. You can also consider taking a photo or photocopy of your card (front and back) for backup.
If You Lose Your Medicare Related Card(s)
Call Medicare at 1-800-MEDICARE (1-800-633-4227) to replace your red, white and blue Medicare card. To replace an Advantage or Prescription Drug card, contact your plan’s Customer Service department to request a new card.
Contact me or visit the Medicare.gov website to learn more about your Medicare options.